Work order =
Please set down the lines underneath up to the one that holds "_space_group_symop_operation_xyz", that line included.

Listing =
........
For TbPbWO6, a crystal structure in Alexandria, relaxed with PBE+U gives the theoretical powder diffraction line list in this record (CuKα).
No peak broadening, texture or thermal motion is included.

Principal peaks in the range 2θ from 10° to 90°, by angle:
d_spacing  I (rel.)  h k l
3.448  100  1 0 1
2.820  52  1 1 0
2.183  29  2 0 1
1.843  42  2 -1 2
1.726  29  3 -1 1
1.628  15  3 0 0
1.540  10  1 0 3
1.353  12  3 0 2
1.305  12  3 1 1
1.220  11  2 2 2

Atomic structure:
```
data_TbPbWO6
_chemical_formula_sum 'Tb1 Pb1 W1 O6'
_cell_length_a 5.6396
_cell_length_b 5.6396
_cell_length_c 4.8683
_cell_angle_alpha 90.00
_cell_angle_beta 90.00
_cell_angle_gamma 120.00
_symmetry_space_group_name_H-M 'P 3 1 2'
_symmetry_Int_Tables_number 149
loop_
_symmetry_equiv_pos_as_xyz
'x,y,z'
'-y,x-y,z'
'-x+y,-x,z'
'-y,-x,-z'
'-x+y,y,-z'
'x,x-y,-z'
loop_
_atom_site_label
_atom_site_type_symbol
_atom_site_fract_x
_atom_site_fract_y
_atom_site_fract_z
Tb1 Tb 0.0000 0.0000 0.0000
Pb1 Pb 0.6667 0.3333 0.5000
W1 W 0.3333 0.6667 0.0000
O1 O 0.0474 0.3733 0.2225
```

* * * * *

Structure and simulated PXRD pattern of CsAsPIrO (the PBE geometry in Alexandria; λ = 1.5418 Å (Cu Kα)).
Intensities are scaled so that the largest is 100.

Crystal structure
```
data_CsAsPIrO
_chemical_formula_sum 'Cs2 As2 P2 Ir2 O2'
_cell_length_a 6.876
_cell_length_b 3.943
_cell_length_c 8.618
_cell_angle_alpha 90.00
_cell_angle_beta 105.54
_cell_angle_gamma 90.00
_space_group_name_H-M_alt 'C 1 m 1'
_space_group_IT_number 8
loop_
_space_group_symop_operation_xyz
'x,y,z'
'x,-y,z'
'x+1/2,y+1/2,z'
'x+1/2,-y+1/2,z'
loop_
_atom_site_label
_atom_site_fract_x
_atom_site_fract_y
_atom_site_fract_z
Cs1 0.000 0.000 0.000
As1 0.306 0.500 0.414
P1 0.047 0.500 0.640
Ir1 0.187 0.000 0.557
O1 0.237 0.500 0.205
```

Largest 10 diffraction maxima, low angle first, 2θ = 5–70°:
2theta	intensity
10.7	50
21.4	55
26.2	16
26.3	33
29.8	19
31.7	100
45.0	16
45.8	32
48.2	34
51.1	22
........

Written answer =
For TbPbWO6, a crystal structure in Alexandria, relaxed with PBE+U gives the theoretical powder diffraction line list in this record (CuKα).
No peak broadening, texture or thermal motion is included.

Principal peaks in the range 2θ from 10° to 90°, by angle:
d_spacing  I (rel.)  h k l
3.448  100  1 0 1
2.820  52  1 1 0
2.183  29  2 0 1
1.843  42  2 -1 2
1.726  29  3 -1 1
1.628  15  3 0 0
1.540  10  1 0 3
1.353  12  3 0 2
1.305  12  3 1 1
1.220  11  2 2 2

Atomic structure:
```
data_TbPbWO6
_chemical_formula_sum 'Tb1 Pb1 W1 O6'
_cell_length_a 5.6396
_cell_length_b 5.6396
_cell_length_c 4.8683
_cell_angle_alpha 90.00
_cell_angle_beta 90.00
_cell_angle_gamma 120.00
_symmetry_space_group_name_H-M 'P 3 1 2'
_symmetry_Int_Tables_number 149
loop_
_symmetry_equiv_pos_as_xyz
'x,y,z'
'-y,x-y,z'
'-x+y,-x,z'
'-y,-x,-z'
'-x+y,y,-z'
'x,x-y,-z'
loop_
_atom_site_label
_atom_site_type_symbol
_atom_site_fract_x
_atom_site_fract_y
_atom_site_fract_z
Tb1 Tb 0.0000 0.0000 0.0000
Pb1 Pb 0.6667 0.3333 0.5000
W1 W 0.3333 0.6667 0.0000
O1 O 0.0474 0.3733 0.2225
```

* * * * *

Structure and simulated PXRD pattern of CsAsPIrO (the PBE geometry in Alexandria; λ = 1.5418 Å (Cu Kα)).
Intensities are scaled so that the largest is 100.

Crystal structure
```
data_CsAsPIrO
_chemical_formula_sum 'Cs2 As2 P2 Ir2 O2'
_cell_length_a 6.876
_cell_length_b 3.943
_cell_length_c 8.618
_cell_angle_alpha 90.00
_cell_angle_beta 105.54
_cell_angle_gamma 90.00
_space_group_name_H-M_alt 'C 1 m 1'
_space_group_IT_number 8
loop_
_space_group_symop_operation_xyz